Le Perigord 405 East 52nd St
(bet. F.D.R. Dr. & 1st)
212-755-6244 www.leperigord.com
House foie gras with jelly Foie gras maison et sa gelee
Vegetable tart with tangy butter sauce Tarte de legumes avec sauce au beurre acidulé
Stuffed zucchini blossom with truffle emulsion Fleur de courgette farci, emulsion à la truffle
Escargots fricassée in hazelnut butter with chanterelle, fingerling potatoes and lovage Fricassée d'escargots au beurre de noisette, chanterelles, rattes et feuilles d'ache
Sautéed foie gras with cranberry chutney and meyer lemon Escalope de foie gras chaud aix canneberge et citron doux meyer
Inserted here: records of molecules:
~~~
No. 1
ORCA calculation (wB97M-V/def2-TZVPD) on an isolated molecule of C8H16N2.

Each line ends with the Löwdin charge.
Positions of all 26 atoms, in Å:
C (-0.243, 1.274, 0.732)  -0.061
C (-2.964, -0.269, 0.559)  -0.045
C (2.528, -1.448, 0.286)  -0.030
C (1.903, 1.177, -0.723)  -0.058
N (-1.672, -0.597, -0.068)  -0.048
C (-0.848, 0.585, -0.467)  -0.414
C (1.227, -0.805, 0.693)  -0.347
C (0.864, 0.444, 0.095)  -0.307
N (0.322, -1.504, 1.373)  0.061
C (-1.102, 1.037, -1.769)  -0.055
H (-1.835, -1.083, -0.955)  0.137
H (0.645, -2.439, 1.599)  0.061
H (-0.913, -1.220, 0.739)  0.132
H (-0.532, 0.917, 1.717)  0.102
H (-0.130, 2.346, 0.614)  0.116
H (-3.570, 0.337, -0.115)  0.088
H (-2.775, 0.289, 1.474)  0.086
H (-3.491, -1.193, 0.798)  0.088
H (2.645, -2.425, 0.754)  0.073
H (2.572, -1.583, -0.797)  0.090
H (3.377, -0.822, 0.562)  0.080
H (2.145, 0.637, -1.640)  0.082
H (1.544, 2.164, -1.002)  0.074
H (2.826, 1.319, -0.155)  0.080
H (-0.388, 1.713, -2.214)  0.007
H (-2.134, 1.148, -2.088)  0.011

Output
* E_HOMO (alpha / beta): -5.64 / -5.64 eV
* orbital gap (alpha / beta): 6.53 / 6.53 eV
* energy above the lowest of the compared OMol25 structures with the same formula, charge and spin: 4.191 eV
* E_tot: -423.78559 a.u.



No. 2
ORCA calculation (wB97M-V/def2-TZVPD) on an isolated molecule of C4H4O5S.

Each line ends with the Löwdin charge.
Positions of all 14 atoms, in Å:
C (-0.636, 0.662, -0.648)  -0.164
C (1.791, -0.077, 0.308)  -0.504
C (0.092, 1.507, 0.251)  -0.283
C (0.828, -0.984, -0.528)  -0.052
O (2.897, -0.403, 0.629)  0.148
O (-2.502, -0.996, -0.858)  -0.325
O (-2.949, 0.914, 0.704)  -0.291
O (1.254, 0.943, 0.883)  0.048
O (0.244, -1.837, 0.340)  -0.007
S (-2.071, 0.048, 0.014)  0.772
H (0.603, 2.412, -0.455)  0.196
H (-0.541, 2.008, 1.006)  0.126
H (1.067, -1.527, -1.539)  0.181
H (-0.078, -2.670, -0.107)  0.156

Output
* E_HOMO: -9.49 eV
* orbital gap: 8.00 eV
* energy above the lowest of the compared OMol25 structures with the same formula, charge and spin: 5.167 eV
* E_tot: -929.00150 a.u.



No. 3
ORCA calculation (wB97M-V/def2-TZVPD) on a cluster of 2 separate species, H3N3O2 in total.

Each line ends with the Löwdin charge.
Positions of all 8 atoms, in Å:
H (0.656, 1.380, 0.274)  0.068
N (0.024, 1.329, 1.102)  0.087
N (-0.627, 0.308, 1.191)  -0.068
N (-0.801, -0.788, 1.599)  -0.077
O (-1.574, -1.747, 1.560)  -0.042
O (0.833, -0.193, -1.525)  -0.151
H (1.536, 0.140, -2.217)  0.100
H (-0.048, -0.431, -1.982)  0.083

Output
* SMILES string: [H]/N=N/N=O.O
* E_HOMO (alpha / beta): -9.16 / -9.16 eV
* orbital gap (alpha / beta): 9.07 / 9.06 eV
* energy above the lowest of the compared OMol25 structures with the same formula, charge and spin: 1.454 eV
* E_tot: -316.35337 a.u.



No. 4
ORCA calculation (wB97M-V/def2-TZVPD) on the ion C7H15N2 with charge +1.

Each line ends with the Löwdin charge.
Positions of all 24 atoms, in Å:
C (3.254, -0.217, -0.404)  -0.073
C (1.881, 0.447, -0.681)  -0.166
C (0.891, -0.003, 0.447)  -0.324
~~~
End of the records of molecules:
Sweetbreads dusted with Harissa salad, olive nicoise and Roasted sweet pepper emulsion Salade de Ris de Veau Pâné à l'harrissa, olive nicoise et émulsion de poivron doux rôti
Red snapper with braised endive and blood orage reduction Red snapper avec endive et reduction d'orange sanguine
Turbot with Comté crust, champagne sauce Filet de turbot à la croûte de comté sauce champagne
Dover sole, meuniere or grilled, mustard sauce Sole meunière ou grillée sauce moutarde
Roasted lobster in coriander broth with baby seasonal vegetables Homard au coriandre et petit légumes de saison
Rack of lamb with coco beans and mixed vegetable quenelle Carré d'agneau rôti avec coco beans et quenelle de legumes
Roasted spiced duck breast with blood orange chutney and parsnip pureé Magret de canard aux épices, chutney d'orange sanguine et pureé de panais
Armagnac, grand marnier, or chocolate
The piece is interrupted by calculated molecules:
/*
1.
Below is one molecule with the formula C5H8O2, with properties calculated with ωB97M-V/def2-TZVPD.

CARTESIAN COORDINATES (ANGSTROEM)
C 0.027 -1.023 1.663
C 0.191 -1.689 0.528
O -0.599 -1.452 -0.586
C -0.078 -0.273 -1.234
C -0.249 0.957 -0.406
C 0.706 1.876 -0.354
O -1.501 1.146 0.094
H 0.765 -1.094 2.452
H -0.818 -0.360 1.824
H 1.022 -2.376 0.360
H -0.675 -0.119 -2.137
H 0.974 -0.400 -1.518
H 1.710 1.616 -0.670
H 0.498 2.888 -0.037
H -1.973 0.303 0.019

Atomic forces in eV per Å
0.023 -0.262 0.038
0.185 0.164 0.352
0.162 0.249 0.094
-0.132 -0.250 -0.085
0.208 0.269 -0.431
-0.064 0.155 0.052
-0.066 -0.038 -0.152
-0.176 -0.287 0.023
0.252 -0.040 -0.059
-0.135 0.104 -0.031
0.021 -0.276 -0.022
-0.192 -0.045 0.100
-0.213 0.132 -0.171
0.098 -0.048 0.336
0.029 0.174 -0.045

Calculated values
HOMO-LUMO gap: 10.004 eV
spin multiplicity: 1
HOMO level: -9.06 eV
E: -345.7227 hartree

Mulliken atomic charge list, values in e, 6 entries:
1 C -0.622
2 C -0.026
3 O -0.409
4 C -0.506
5 C 0.664
6 C -1.007

---

2.
Below is a 2-piece molecular cluster, C5H8O2 overall, with properties calculated with ωB97M-V/def2-TZVPD.

CARTESIAN COORDINATES (ANGSTROEM)
C -0.133 2.028 -1.277
C -0.079 0.193 1.412
C -0.141 -0.313 0.182
C -1.467 -0.587 -0.470
C 1.071 -0.749 -0.600
O 0.134 2.980 -0.728
O 1.038 0.455 2.150
H -0.963 0.474 1.967
H -1.409 -0.387 -1.538
H -2.251 0.027 -0.035
H -1.747 -1.633 -0.339
H 0.851 -1.678 -1.122
H 1.942 -0.915 0.032
H 1.330 0.002 -1.346
H 1.823 0.103 1.712

Atomic forces in eV per Å
0.138 0.965 0.180
0.003 0.019 -0.187
0.125 -0.373 0.205
0.087 -0.050 0.222
-0.192 0.146 0.319
-0.148 -0.547 -0.309
0.193 -0.067 0.015
-0.112 0.039 -0.042
-0.084 0.065 -0.075
-0.141 0.046 -0.020
-0.024 -0.080 -0.073
0.070 -0.115 -0.056
0.131 -0.073 -0.037
0.086 -0.048 -0.122
-0.133 0.073 -0.020

Calculated values
HOMO-LUMO gap: 9.328 eV
spin multiplicity: 1
HOMO level: -8.49 eV
E: -345.7620 hartree

Mulliken atomic charge list, values in e, 6 entries:
1 C 0.154
2 C -0.244
3 C 0.734
4 C -1.414
5 C -1.289
6 O -0.196

---

3.
Below is C5H8O2 as an isolated structure in a non-equilibrium geometry, with properties calculated with ωB97M-V/def2-TZVPD.

CARTESIAN COORDINATES (ANGSTROEM)
C -1.808 -0.494 0.050
C -0.462 -0.150 -0.117
O -0.416 1.408 -0.640
C 0.488 -0.089 1.029
C 1.661 -0.136 0.184
C 1.005 0.256 -1.099
O 1.358 0.301 -2.235
H -2.274 0.106 0.811
H -2.388 -0.455 -0.866
H -1.807 -1.498 0.438
H -0.788 1.441 -1.537
H 0.469 0.784 1.652
H 0.420 -0.915 1.708
H 2.435 0.543 0.464
H 2.108 -1.101 0.157

Atomic forces in eV per Å
-2.367 -1.256 -0.192
2.697 3.569 -2.347
0.098 -0.260 1.159
-1.116 -0.343 1.178
2.437 2.132 -0.195
-0.791 -3.720 -0.776
-0.579 0.616 0.652
-0.369 0.584 0.367
-0.173 -0.085 -0.080
-0.328 -0.724 0.045
0.160 -0.301 0.262
-0.466 0.756 0.195
-0.310 -0.700 0.239
0.945 0.596 0.272
0.162 -0.865 -0.778

Calculated values
HOMO-LUMO gap: 9.153 eV
spin multiplicity: 1
HOMO level: -8.28 eV
E: -345.6630 hartree

Mulliken atomic charge list, values in e, 6 entries:
*/
Cuisine: French Avg. Check: $40 - $45 Attire: Jacket &Tie Required
Now entering its 40th year, Le Perigord has won a permanent place in the hearts of New Yorkers, who demand scintillating food, complimented with extraordinary service. The Briguet family treats their patrons as members of their own family, making this a dining venue truly worth experiencing.
The main dining room is a romantic locale decorated with fresh white, pink and red rose bouquets on each table. Fine china placed in front of each guest lets you know immediately that you are about to embark on a classic dining excursion. Host Georges Briguet's charm and geniality spreads to the loyal wait staff, who treat each patron as if he or she were royalty.
Many classic French dishes are hard to find these days. Fortunately, Le Perigord has mastered its trade. "Turbot with Comté crust, in a champagne sauce" is a small taste of the special sensations enjoyed at this eatery. Diners would be remiss not to sample what is perhaps the best soufflé in Manhattan, as it is available as an Armagnac, grand marnier, or chocolate delight.
/*
{
  "formula": "C23H38N3O5RhSeSi",
  "method": "ωB97M-V with the def2-TZVPD basis set",
  "homo_energy_ev": -8.9122,
  "spin_multiplicity": 1,
  "gap_ev": 8.9,
  "lumo_energy_ev": -0.06,
  "charge": 0,
  "symbols": ["Rh", "C", "C", "O", "N", "C", "C", "C", "C", "C", "C", "N", "H", "H", "H", "H", "H", "H", "H", "H", "H", "H", "C", "Si", "C", "C", "C", "C", "C", "C", "C", "C", "H", "H", "H", "H", "H", "H", "H", "H", "H", "H", "H", "H", "H", "H", "H", "H", "H", "H", "H", "H", "H", "O", "Se", "O", "O", "O", "N", "C", "C", "C", "C", "C", "C", "H", "H", "H", "H", "H", "H", "H"],
*/
Le Périgord offers a newly renovated private dining room that can seat up to 40 guests. A special wine and food menu can be arranged that caters to your event. A private bar is also available for cocktails and hors d'oeuvres. The restaurant welcomes all events from discreet business meetings to festive birthday parties with entertainment. The main dining room can be reserved for large events such as anniversaries and weddings.
As a testament to its greatness, the New York Times stated that "returning to Le Perigord after an absence of several years is like tuning into a late movie after you had nearly forgotten and enjoying it so much you sit up til 3a.m. They don't make loopy Cary Grant romances anymore, nor do they make luxury French restaurants that are as sincere and as uncalculating as this one." PRIVATE PARTIES; PRIVATE ROOM; ON PREMISE CATERING; TASTING DINERS; FIXED PRICE MENUS; PRE-THEATER SPECIALS; WINE TASTINGS; COOKING CLASSES;
CREDIT CARDS Amex, Visa, Mastercard, Diner's Club, Discover
Mon. - Fri. 12 - 3
7 Days 5 - 10